**Input:**
********
Crystalline K4P4H7Ru2O18 at its relaxed geometry. Source: the Materials Project database, functional PBE-GGA.

a = 9.2304 Å, b = 9.4132 Å, c = 13.8794 Å
α = 90.00°, β = 131.08°, γ = 90.00°
Fractional coordinates of all 70 atoms:
K (0.1257, 0.1224, 0.2814)
K (0.1257, 0.3776, 0.7814)
K (0.2901, 0.7256, 0.1522)
K (0.2901, 0.7744, 0.6522)
K (0.7099, 0.2256, 0.3478)
K (0.7099, 0.2744, 0.8478)
K (0.8743, 0.6224, 0.2186)
K (0.8743, 0.8776, 0.7186)
P (0.2554, 0.1328, 0.0374)
P (0.2554, 0.3672, 0.5374)
P (0.3207, 0.7144, 0.9229)
P (0.3207, 0.7856, 0.4229)
P (0.6793, 0.2144, 0.5771)
P (0.6793, 0.2856, 0.0771)
P (0.7446, 0.6328, 0.4626)
P (0.7446, 0.8672, 0.9626)
H (0.0000, 0.0000, 0.0000)
H (0.0000, 0.5000, 0.5000)
H (0.0540, 0.1018, 0.6311)
H (0.0540, 0.3982, 0.1311)
H (0.2298, 0.1266, 0.6333)
H (0.2298, 0.3734, 0.1333)
H (0.4885, 0.1283, 0.6009)
H (0.4885, 0.3717, 0.1009)
H (0.5115, 0.6283, 0.8991)
H (0.5115, 0.8717, 0.3991)
H (0.7702, 0.6266, 0.8667)
H (0.7702, 0.8734, 0.3667)
H (0.9460, 0.6018, 0.8689)
H (0.9460, 0.8982, 0.3689)
Ru (0.3939, 0.0362, 0.8932)
Ru (0.3939, 0.4638, 0.3932)
Ru (0.6061, 0.5362, 0.6068)
Ru (0.6061, 0.9638, 0.1068)
O (0.0827, 0.1118, 0.0319)
O (0.0827, 0.3882, 0.5319)
O (0.1584, 0.6525, 0.9108)
O (0.1584, 0.8475, 0.4108)
O (0.1832, 0.0673, 0.6685)
O (0.1832, 0.4327, 0.1685)
O (0.1893, 0.1038, 0.9019)
O (0.1893, 0.3962, 0.4019)
O (0.2573, 0.6576, 0.3307)
O (0.2573, 0.8424, 0.8307)
O (0.3246, 0.2132, 0.5817)
O (0.3246, 0.2868, 0.0817)
O (0.3894, 0.5934, 0.8797)
O (0.3894, 0.9066, 0.3797)
O (0.4167, 0.0212, 0.1319)
O (0.4167, 0.4788, 0.6319)
O (0.4958, 0.7397, 0.5627)
O (0.4958, 0.7603, 0.0627)
O (0.5042, 0.2397, 0.9373)
O (0.5042, 0.2603, 0.4373)
O (0.5833, 0.5212, 0.3681)
O (0.5833, 0.9788, 0.8681)
O (0.6106, 0.0934, 0.6203)
O (0.6106, 0.4066, 0.1203)
O (0.6754, 0.7132, 0.9183)
O (0.6754, 0.7868, 0.4183)
O (0.7427, 0.1576, 0.1693)
O (0.7427, 0.3424, 0.6693)
O (0.8107, 0.6038, 0.5981)
O (0.8107, 0.8962, 0.0981)
O (0.8168, 0.5673, 0.8315)
O (0.8168, 0.9327, 0.3315)
O (0.8416, 0.1525, 0.5892)
O (0.8416, 0.3475, 0.0892)
O (0.9173, 0.6118, 0.4681)
O (0.9173, 0.8882, 0.9681)

Values from the calculation:
Corrected total energy (MP2020 scheme)   -6.575 eV per atom
********

**Wanted:**
The reader should duplicate the lines further up from the one with "0.9626)" to the one with "0.3307)" without altering anything.

**Outcome:**
P (0.7446, 0.8672, 0.9626)
H (0.0000, 0.0000, 0.0000)
H (0.0000, 0.5000, 0.5000)
H (0.0540, 0.1018, 0.6311)
H (0.0540, 0.3982, 0.1311)
H (0.2298, 0.1266, 0.6333)
H (0.2298, 0.3734, 0.1333)
H (0.4885, 0.1283, 0.6009)
H (0.4885, 0.3717, 0.1009)
H (0.5115, 0.6283, 0.8991)
H (0.5115, 0.8717, 0.3991)
H (0.7702, 0.6266, 0.8667)
H (0.7702, 0.8734, 0.3667)
H (0.9460, 0.6018, 0.8689)
H (0.9460, 0.8982, 0.3689)
Ru (0.3939, 0.0362, 0.8932)
Ru (0.3939, 0.4638, 0.3932)
Ru (0.6061, 0.5362, 0.6068)
Ru (0.6061, 0.9638, 0.1068)
O (0.0827, 0.1118, 0.0319)
O (0.0827, 0.3882, 0.5319)
O (0.1584, 0.6525, 0.9108)
O (0.1584, 0.8475, 0.4108)
O (0.1832, 0.0673, 0.6685)
O (0.1832, 0.4327, 0.1685)
O (0.1893, 0.1038, 0.9019)
O (0.1893, 0.3962, 0.4019)
O (0.2573, 0.6576, 0.3307)